[Material]
+++
BaMn6O12 | GGA+U | optimized geometry

Results
**Formation energy**: -2.08 eV per atom
**Space group**: C2/m, No. 12
**Electronic total energy**: -275.17 eV/cell
**Energy with MP2020 corrections**: -8.202 eV/atom
**Calculated density**: 4.888 g/cm3

The structure in POSCAR format:
```
BaMn6O12
1.0
4.464 7.039 0.000
-4.464 7.039 0.000
0.000 6.779 7.123
Ba Mn O
2 12 24
direct
0.718 0.282 0.000
0.282 0.718 0.000
0.335 0.335 0.819
0.002 0.670 0.818
0.670 0.002 0.818
0.998 0.330 0.182
0.665 0.665 0.181
0.330 0.998 0.182
0.148 0.148 0.519
0.482 0.814 0.518
0.814 0.482 0.518
0.852 0.852 0.481
0.186 0.518 0.482
0.518 0.186 0.482
0.343 0.343 0.616
0.006 0.673 0.619
0.673 0.006 0.619
0.994 0.327 0.381
0.657 0.657 0.384
0.327 0.994 0.381
0.346 0.346 0.351
0.013 0.677 0.356
0.677 0.013 0.356
0.987 0.323 0.644
0.654 0.654 0.649
0.323 0.987 0.644
0.625 0.290 0.720
0.290 0.625 0.720
0.956 0.956 0.718
0.710 0.375 0.280
0.375 0.710 0.280
0.044 0.044 0.282
0.963 0.627 0.054
0.627 0.963 0.054
0.299 0.299 0.051
0.373 0.037 0.946
0.037 0.373 0.946
0.701 0.701 0.949
```

* * * * *

(1)
Here is an optimized crystal structure of MnFe2O3 from Materials Project. Energies are from PBE+U.

Lattice parameters (Å, degrees): 5.4767 5.4767 5.4767 145.90 134.03 58.46
With the nearest neighbours (Å) after each atom.
Element x y z (fractional)
Mn (0.0000, 0.0000, 0.0000)  6 O 2.14-2.28
Fe (0.3340, 0.3340, 0.0000)  6 O 2.14-2.26
Fe (0.6660, 0.6660, 0.0000)  6 O 2.14-2.26
O (0.1692, 0.6692, 0.5000)  4 Fe 2.14-2.25, 2 Mn 2.28
O (0.5000, 0.0000, 0.5000)  2 Mn 2.14, 4 Fe 2.26
O (0.8308, 0.3308, 0.5000)  4 Fe 2.14-2.25, 2 Mn 2.28

Values from the calculation:
Formation energy ... -1.334 eV/atom
Polymorph energy (0 for the lowest one) ... 0.280 eV/atom
Space group ... No. 71
Total DFT energy (no corrections) ... -6.785 eV per atom
Total magnetic moment ... 13.0 μB/f.u.


(2)
Here is an optimized crystal structure of Ba2MgCoWO6 from Materials Project. Energies are from PBE+U.

Lattice parameters (Å, degrees): 5.9287 5.9295 6.4772 63.11 63.01 61.16
With the nearest neighbours (Å) after each atom.
Element x y z (fractional)
Ba (0.0000, 0.0000, 0.0000)  6 O 2.77-3.09
Ba (0.4399, 0.4385, 0.6263)  5 O 2.74-2.84, 1 Co 3.04
Mg (0.7699, 0.7689, 0.6214)  3 O 1.94-1.95
Co (0.6543, 0.6527, 0.0772)  3 O 1.90-1.94
W (0.2180, 0.2161, 0.3163)  6 O 1.93-2.08
O (0.0281, 0.4802, 0.0492)  1 Co 1.90, 1 W 2.08
O (0.4164, 0.9461, 0.5748)  1 Mg 1.94, 1 W 2.07
O (0.4375, 0.4344, 0.1906)  1 W 1.93, 1 Co 1.94
O (0.4835, 0.0264, 0.0484)  1 Co 1.90, 1 W 2.08
O (0.9473, 0.4152, 0.5746)  1 Mg 1.94, 1 W 2.07
O (0.9948, 0.9927, 0.4440)  1 Mg 1.95, 1 W 1.97

Values from the calculation:
Formation energy ... -2.359 eV/atom
Polymorph energy (0 for the lowest one) ... 0.000 eV/atom
Space group ... No. 1
Total DFT energy (no corrections) ... -6.449 eV per atom
Total magnetic moment ... 3.0 μB/f.u.


(3)
Here is an optimized crystal structure of KNa7V8O24 from Materials Project. Energies are from PBE+U.

Lattice parameters (Å, degrees): 5.9552 9.8324 10.6925 90.00 104.54 90.00
With the nearest neighbours (Å) after each atom.
Element x y z (fractional)
K (0.0000, 0.0000, 0.0000)  6 O 2.63-2.75
Na (0.0000, 0.2898, 0.5000)  6 O 2.39-2.45
Na (0.0000, 0.6085, 0.0000)  6 O 2.38-2.44
Na (0.0000, 0.9079, 0.5000)  6 O 2.48-2.78
Na (0.5000, 0.1091, 0.5000)  6 O 2.39-2.46
Na (0.5000, 0.4080, 0.0000)  6 O 2.49-2.78
Na (0.5000, 0.4911, 0.5000)  6 O 2.48-2.77
Na (0.5000, 0.7888, 0.0000)  6 O 2.40-2.46
V (0.2127, 0.2890, 0.2103)  4 O 1.67-1.84
V (0.2133, 0.6106, 0.7096)  4 O 1.67-1.83
V (0.2883, 0.7867, 0.2923)  4 O 1.67-1.83
V (0.2890, 0.1119, 0.7883)  4 O 1.67-1.83
V (0.7110, 0.1119, 0.2117)  4 O 1.67-1.83
V (0.7117, 0.7867, 0.7077)  4 O 1.67-1.83
V (0.7873, 0.2890, 0.7897)  4 O 1.67-1.84
V (0.7867, 0.6106, 0.2904)  4 O 1.67-1.83
O (0.0723, 0.6897, 0.3500)  2 V 1.83
O (0.0750, 0.2111, 0.8466)  2 V 1.83-1.84
O (0.2129, 0.1008, 0.6257)  1 V 1.69
O (0.2134, 0.4423, 0.1438)  1 V 1.67
O (0.2135, 0.4567, 0.6437)  1 V 1.67
+++
[Work order]
The reader should return all of the block further up verbatim.
[Written answer]
BaMn6O12 | GGA+U | optimized geometry

Results
**Formation energy**: -2.08 eV per atom
**Space group**: C2/m, No. 12
**Electronic total energy**: -275.17 eV/cell
**Energy with MP2020 corrections**: -8.202 eV/atom
**Calculated density**: 4.888 g/cm3

The structure in POSCAR format:
```
BaMn6O12
1.0
4.464 7.039 0.000
-4.464 7.039 0.000
0.000 6.779 7.123
Ba Mn O
2 12 24
direct
0.718 0.282 0.000
0.282 0.718 0.000
0.335 0.335 0.819
0.002 0.670 0.818
0.670 0.002 0.818
0.998 0.330 0.182
0.665 0.665 0.181
0.330 0.998 0.182
0.148 0.148 0.519
0.482 0.814 0.518
0.814 0.482 0.518
0.852 0.852 0.481
0.186 0.518 0.482
0.518 0.186 0.482
0.343 0.343 0.616
0.006 0.673 0.619
0.673 0.006 0.619
0.994 0.327 0.381
0.657 0.657 0.384
0.327 0.994 0.381
0.346 0.346 0.351
0.013 0.677 0.356
0.677 0.013 0.356
0.987 0.323 0.644
0.654 0.654 0.649
0.323 0.987 0.644
0.625 0.290 0.720
0.290 0.625 0.720
0.956 0.956 0.718
0.710 0.375 0.280
0.375 0.710 0.280
0.044 0.044 0.282
0.963 0.627 0.054
0.627 0.963 0.054
0.299 0.299 0.051
0.373 0.037 0.946
0.037 0.373 0.946
0.701 0.701 0.949
```

* * * * *

(1)
Here is an optimized crystal structure of MnFe2O3 from Materials Project. Energies are from PBE+U.

Lattice parameters (Å, degrees): 5.4767 5.4767 5.4767 145.90 134.03 58.46
With the nearest neighbours (Å) after each atom.
Element x y z (fractional)
Mn (0.0000, 0.0000, 0.0000)  6 O 2.14-2.28
Fe (0.3340, 0.3340, 0.0000)  6 O 2.14-2.26
Fe (0.6660, 0.6660, 0.0000)  6 O 2.14-2.26
O (0.1692, 0.6692, 0.5000)  4 Fe 2.14-2.25, 2 Mn 2.28
O (0.5000, 0.0000, 0.5000)  2 Mn 2.14, 4 Fe 2.26
O (0.8308, 0.3308, 0.5000)  4 Fe 2.14-2.25, 2 Mn 2.28

Values from the calculation:
Formation energy ... -1.334 eV/atom
Polymorph energy (0 for the lowest one) ... 0.280 eV/atom
Space group ... No. 71
Total DFT energy (no corrections) ... -6.785 eV per atom
Total magnetic moment ... 13.0 μB/f.u.


(2)
Here is an optimized crystal structure of Ba2MgCoWO6 from Materials Project. Energies are from PBE+U.

Lattice parameters (Å, degrees): 5.9287 5.9295 6.4772 63.11 63.01 61.16
With the nearest neighbours (Å) after each atom.
Element x y z (fractional)
Ba (0.0000, 0.0000, 0.0000)  6 O 2.77-3.09
Ba (0.4399, 0.4385, 0.6263)  5 O 2.74-2.84, 1 Co 3.04
Mg (0.7699, 0.7689, 0.6214)  3 O 1.94-1.95
Co (0.6543, 0.6527, 0.0772)  3 O 1.90-1.94
W (0.2180, 0.2161, 0.3163)  6 O 1.93-2.08
O (0.0281, 0.4802, 0.0492)  1 Co 1.90, 1 W 2.08
O (0.4164, 0.9461, 0.5748)  1 Mg 1.94, 1 W 2.07
O (0.4375, 0.4344, 0.1906)  1 W 1.93, 1 Co 1.94
O (0.4835, 0.0264, 0.0484)  1 Co 1.90, 1 W 2.08
O (0.9473, 0.4152, 0.5746)  1 Mg 1.94, 1 W 2.07
O (0.9948, 0.9927, 0.4440)  1 Mg 1.95, 1 W 1.97

Values from the calculation:
Formation energy ... -2.359 eV/atom
Polymorph energy (0 for the lowest one) ... 0.000 eV/atom
Space group ... No. 1
Total DFT energy (no corrections) ... -6.449 eV per atom
Total magnetic moment ... 3.0 μB/f.u.


(3)
Here is an optimized crystal structure of KNa7V8O24 from Materials Project. Energies are from PBE+U.

Lattice parameters (Å, degrees): 5.9552 9.8324 10.6925 90.00 104.54 90.00
With the nearest neighbours (Å) after each atom.
Element x y z (fractional)
K (0.0000, 0.0000, 0.0000)  6 O 2.63-2.75
Na (0.0000, 0.2898, 0.5000)  6 O 2.39-2.45
Na (0.0000, 0.6085, 0.0000)  6 O 2.38-2.44
Na (0.0000, 0.9079, 0.5000)  6 O 2.48-2.78
Na (0.5000, 0.1091, 0.5000)  6 O 2.39-2.46
Na (0.5000, 0.4080, 0.0000)  6 O 2.49-2.78
Na (0.5000, 0.4911, 0.5000)  6 O 2.48-2.77
Na (0.5000, 0.7888, 0.0000)  6 O 2.40-2.46
V (0.2127, 0.2890, 0.2103)  4 O 1.67-1.84
V (0.2133, 0.6106, 0.7096)  4 O 1.67-1.83
V (0.2883, 0.7867, 0.2923)  4 O 1.67-1.83
V (0.2890, 0.1119, 0.7883)  4 O 1.67-1.83
V (0.7110, 0.1119, 0.2117)  4 O 1.67-1.83
V (0.7117, 0.7867, 0.7077)  4 O 1.67-1.83
V (0.7873, 0.2890, 0.7897)  4 O 1.67-1.84
V (0.7867, 0.6106, 0.2904)  4 O 1.67-1.83
O (0.0723, 0.6897, 0.3500)  2 V 1.83
O (0.0750, 0.2111, 0.8466)  2 V 1.83-1.84
O (0.2129, 0.1008, 0.6257)  1 V 1.69
O (0.2134, 0.4423, 0.1438)  1 V 1.67
O (0.2135, 0.4567, 0.6437)  1 V 1.67